By Yaël Ossowski / December 12, 2014 /

BLOATED: A recent report finds FirstNet has had millions in cost overruns and continues to have problems with conflicts of interest for board members.
By Yaël Ossowski |
A new government agency tasked with creating a public broadband system for first responders with billions of dollars has been roundly criticized for its cost overruns and issues with conflicts of interest.
In a scathing report conducted by the Office of the Inspector General for the U.S. Department Commerce, FirstNet is called to task for its ethical and financial problems.

FirstNet, an independent authority created by the Middle Class Tax Relief and Job Creation Act of 2012, is charged with ensuring the creation of a nationwide public broadband service for emergency responders, a governmental reaction to the many failures recognized by public officials in response to the 9/11 attacks.
“The findings in this report represent serious systemic issues,” states the OIG, openly questioning exactly how $7 billion allocated to the agency were being spent.
The inspector general’s office found multiple instances of unreported expenses and shady contracts awarded without competition.
This included more than $11 million in contracting costs that included no paperwork, along with millions of dollars worth of duplicated charges resulting from just one contract, according to the report.
Other questionable actions include multiple agency board members with deep connections to contractors in the telecommunications industry failing to report those conflicts of interest or even submit financial disclosure reports as required by law. At least two board members claimed to have not worked a single hour for the agency, but still received payment for their work.
Despite this, claims the inspector general, board members continued making decisions and allocating contracts worth millions of dollars.
(Someone pasted records of crystals at this point)
/*
CuSb2Xe4F20: optimized geometry, PBE.

Computed properties:
Energy relative to the elements = -40.27 kcal/mol of atoms
Total DFT energy (no corrections) = -177.41 eV/cell

CIF file:
```
data_CuSb2Xe4F20
_chemical_formula_sum 'Cu2 Sb4 Xe8 F40'
_space_group_name_H-M_alt 'I -4'
_space_group_IT_number 82
_space_group_name_Hall 'I -4'
_cell_length_a 11.334
_cell_length_b 11.334
_cell_length_c 8.493
_cell_angle_alpha 90.00
_cell_angle_beta 90.00
_cell_angle_gamma 90.00
loop_
_atom_site_label
_atom_site_type_symbol
_atom_site_fract_x
_atom_site_fract_y
_atom_site_fract_z
Cu1 Cu 0.000 0.000 0.000
Sb1 Sb 0.000 0.000 0.500
Sb2 Sb 0.000 0.500 0.750
Xe1 Xe 0.152 0.267 0.138
F1 F 0.000 0.000 0.271
F2 F 0.000 0.500 0.523
F3 F 0.033 0.167 0.987
F4 F 0.075 0.151 0.496
F5 F 0.108 0.631 0.746
F6 F 0.136 0.755 0.216
```

Eu2YTaO6: optimized geometry, PBE.

Computed properties:
Energy relative to the elements = -79.99 kcal/mol of atoms
Total DFT energy (no corrections) = -396.36 eV/cell

CIF file:
```
data_Eu2YTaO6
_chemical_formula_sum 'Eu8 Y4 Ta4 O24'
_space_group_name_H-M_alt 'F m -3 m'
_space_group_IT_number 225
_space_group_name_Hall '-F 4 2 3'
_cell_length_a 8.427
_cell_length_b 8.427
_cell_length_c 8.427
_cell_angle_alpha 90.00
_cell_angle_beta 90.00
_cell_angle_gamma 90.00
loop_
_atom_site_label
_atom_site_type_symbol
_atom_site_fract_x
_atom_site_fract_y
_atom_site_fract_z
Eu1 Eu 0.250 0.250 0.250
Y1 Y 0.000 0.000 0.000
Ta1 Ta 0.000 0.000 0.500
O1 O 0.000 0.000 0.263
```

LiBi2BO5: optimized geometry, PBE.

Computed properties:
Energy relative to the elements = -47.01 kcal/mol of atoms
Total DFT energy (no corrections) = -224.08 eV/cell

CIF file:
```
data_LiBi2BO5
_chemical_formula_sum 'Li4 Bi8 B4 O20'
_space_group_name_H-M_alt 'P n m a'
_space_group_IT_number 62
_space_group_name_Hall '-P 2ac 2n'
_cell_length_a 5.779
_cell_length_b 7.118
_cell_length_c 11.302
_cell_angle_alpha 90.00
_cell_angle_beta 90.00
_cell_angle_gamma 90.00
loop_
_atom_site_label
_atom_site_type_symbol
_atom_site_fract_x
_atom_site_fract_y
_atom_site_fract_z
Li1 Li 0.224 0.250 0.154
Bi1 Bi 0.229 0.007 0.399
B1 B 0.190 0.750 0.142
O1 O 0.036 0.750 0.532
O2 O 0.110 0.750 0.807
O3 O 0.126 0.579 0.087
O4 O 0.185 0.250 0.745
```

Cs2KGaBr6: optimized geometry, PBE.

Computed properties:
Energy relative to the elements = -39.34 kcal/mol of atoms
Total DFT energy (no corrections) = -118.42 eV/cell

CIF file:
```
data_Cs2KGaBr6
_chemical_formula_sum 'Cs8 K4 Ga4 Br24'
_space_group_name_H-M_alt 'F m -3 m'
_space_group_IT_number 225
_space_group_name_Hall '-F 4 2 3'
_cell_length_a 11.517
_cell_length_b 11.517
_cell_length_c 11.517
_cell_angle_alpha 90.00
_cell_angle_beta 90.00
_cell_angle_gamma 90.00
loop_
_atom_site_label
_atom_site_type_symbol
_atom_site_fract_x
_atom_site_fract_y
_atom_site_fract_z
Cs1 Cs 0.250 0.250 0.250
K1 K 0.000 0.000 0.000
Ga1 Ga 0.000 0.000 0.500
Br1 Br 0.000 0.000 0.276
```

Na2S3N: optimized geometry, PBE.

Computed properties:
*/
In response to the report, the Department of Commerce claimed FirstNet has a “robust ethics program,” but may have committed “administrative errors” as it relates to cost overruns and financial disclosure reports never filed with the government, according to a recent memorandum it issued to the inspector general.
The audit was commissioned after concerns were voiced last year by Paul Fitzgerald, Story County sheriff in Iowa and himself a board member of FirstNet.
“It came as a last resort after months of trying to convince the board that we had a massive problem on our hands,” said Fitzgerald earlier this week. “Something had to be done.”

He joins a bipartisan front of lawmakers who have put the agency’s transparency into question in recent days.
“Unfortunately, the Inspector General’s report confirms what we have suspected and long feared — that FirstNet had been operating without proper processes and with disregard for laws that guard against impropriety,” said U.S. Rep. Greg Walden, R-Oregon, chairman of the House Communications and Technology Subcommittee.
“Questions of ethics threaten the legitimacy of FirstNet’s efforts and ultimately undermine its important mission to build a nationwide public safety broadband network,” he said in a statement.
“The report serves as a note of caution to everyone involved in FirstNet — they must be diligent about following the rules,” said U.S. Sen. John Jay Rockefeller, chairman of the Committee on Commerce, Science and Transportation. “It’s now time to refocus on making FirstNet operational as soon as possible so that first responders nationwide can utilize it in their critical mission of saving lives.”
FirstNet’s response to the audit deflected any claims of financial or ethical mismanagement.
“The report makes a number of recommendations regarding improving guidance and processes around the Department’s ethics program and contracting on behalf of FirstNet,” said FirstNet chairwoman Sue Swenson in a statement on the agency’s website. “We concur with these recommendations, many of which have already been implemented.”